Speed-reading is well known as a method of improving the vocabulary and understanding on any subject. Other than just reading fast, it enables readers to understand and grasp the reading material in less time than other readers, which can be useful for every career. It is also known as a compilation of reading techniques that allows you to double your reading speed.
Introducing speed-reading methods can be most beneficial to children, as it can also be used as a long-term career. People often think that it is easier to coach children to read quickly than adults are, as children can learn quickly with the help of their fresh minds. According to a recent research, it is found that both children and adults similarly can learn new reading techniques to improve their reading skills and though process in a better way.
People have many misconceptions related to speed reading techniques. Here are some of the mistakes that most of the readers make:
Purposeless Reading: It is very important to have a purpose for reading, as enables readers to read faster. In other words, if you do not have a specific purpose to read, then your reading speed and comprehension skills will be hampered.
Reading Late at Night: Most of the people generally think that reading at night can be very helpful to increase the reading speed; one can concentrate better at night. However, in reality, it is a least effective method for some people.
Repetitive Reading Helps: It is one of the common myths about reading that repetitive reading of any material can add values to speed reading strategies, which is not true. It is called as regression, and hurts your reading speed as well as makes it uninteresting.
Read with the Help of Marker: One of the least effective ways speed reading techniques is highlighting your reading and studying. It develops confusion in reader’s mind, when the material is read next time. On the other hand, some people find it efficient, but it is better to reduce the use of marker.
Reading without time boundary: Providing yourself unlimited time for reading can reduce the performance of reading as well as the comprehension, so its always better to give yourself a limited time boundary to have a habit to read efficiently and in less time.
'''
VASP calculation (PBE) on a geometry-optimized Ho5Cl11 structure.

abc: 6.638 33.553 6.892
angles: 90.00 93.24 90.00
Sites, in units of the cell vectors:
Ho1 0.002 0.250 0.323
Ho2 0.036 0.058 0.393
Ho3 0.036 0.442 0.393
Ho4 0.061 0.137 0.699
Ho5 0.061 0.363 0.699
Ho6 0.426 0.062 0.862
Ho7 0.426 0.438 0.862
Ho8 0.476 0.148 0.175
Ho9 0.476 0.352 0.175
Ho10 0.492 0.750 0.181
Ho11 0.508 0.250 0.819
Ho12 0.524 0.648 0.825
Ho13 0.524 0.852 0.825
Ho14 0.574 0.562 0.138
Ho15 0.574 0.938 0.138
Ho16 0.939 0.637 0.301
Ho17 0.939 0.863 0.301
Ho18 0.964 0.558 0.607
Ho19 0.964 0.942 0.607
Ho20 0.998 0.750 0.677
Cl1 0.128 0.750 0.327
Cl2 0.140 0.104 0.066
Cl3 0.140 0.396 0.066
Cl4 0.154 0.671 0.628
Cl5 0.154 0.829 0.628
Cl6 0.205 0.202 0.020
Cl7 0.205 0.298 0.020
Cl8 0.206 0.579 0.320
Cl9 0.206 0.921 0.320
Cl10 0.223 0.008 0.634
Cl11 0.223 0.492 0.634
Cl12 0.290 0.013 0.138
Cl13 0.290 0.487 0.138
Cl14 0.300 0.202 0.528
Cl15 0.300 0.298 0.528
Cl16 0.317 0.582 0.840
Cl17 0.317 0.918 0.840
Cl18 0.319 0.675 0.123
Cl19 0.319 0.825 0.123
Cl20 0.365 0.105 0.499
Cl21 0.365 0.395 0.499
Cl22 0.385 0.750 0.805
Cl23 0.615 0.250 0.195
Cl24 0.635 0.605 0.501
Cl25 0.635 0.895 0.501
Cl26 0.681 0.175 0.877
Cl27 0.681 0.325 0.877
Cl28 0.683 0.082 0.160
Cl29 0.683 0.418 0.160
Cl30 0.700 0.702 0.472
Cl31 0.700 0.798 0.472
Cl32 0.710 0.513 0.862
Cl33 0.710 0.987 0.862
Cl34 0.777 0.508 0.366
Cl35 0.777 0.992 0.366
Cl36 0.794 0.079 0.680
Cl37 0.794 0.421 0.680
Cl38 0.795 0.702 0.980
Cl39 0.795 0.798 0.980
Cl40 0.846 0.171 0.372
Cl41 0.846 0.329 0.372
Cl42 0.860 0.604 0.934
Cl43 0.860 0.896 0.934
Cl44 0.872 0.250 0.673

DFT total energy in eV per atom: -4.556
E_form in eV/atom: -2.27
ρ in g/cm3: 5.264
Crystal system: monoclinic



VASP calculation (PBE) on a geometry-optimized KHo2Cl7 structure.

abc: 6.922 12.613 13.199
angles: 90.00 90.79 90.00
Sites, in units of the cell vectors:
K1 0.231 0.202 0.462
K2 0.231 0.298 0.962
K3 0.769 0.702 0.038
K4 0.769 0.798 0.538
Ho1 0.225 0.661 0.751
Ho2 0.225 0.839 0.251
Ho3 0.279 0.537 0.262
Ho4 0.279 0.963 0.762
Ho5 0.721 0.037 0.238
Ho6 0.721 0.463 0.738
Ho7 0.775 0.161 0.749
Ho8 0.775 0.339 0.249
Cl1 0.016 0.677 0.327
Cl2 0.016 0.823 0.827
Cl3 0.037 0.059 0.631
Cl4 0.037 0.441 0.131
Cl5 0.045 0.087 0.878
Cl6 0.045 0.413 0.378
Cl7 0.242 0.685 0.107
Cl8 0.242 0.815 0.607
Cl9 0.443 0.527 0.866
Cl10 0.443 0.973 0.366
Cl11 0.473 0.574 0.620
Cl12 0.473 0.926 0.120
Cl13 0.497 0.703 0.324
Cl14 0.497 0.797 0.824
Cl15 0.503 0.203 0.176
Cl16 0.503 0.297 0.676
Cl17 0.527 0.074 0.880
Cl18 0.527 0.426 0.380
Cl19 0.557 0.027 0.634
Cl20 0.557 0.473 0.134
Cl21 0.758 0.185 0.393
Cl22 0.758 0.315 0.893
Cl23 0.955 0.587 0.622
Cl24 0.955 0.913 0.122
Cl25 0.963 0.559 0.869
Cl26 0.963 0.941 0.369
Cl27 0.984 0.177 0.173
Cl28 0.984 0.323 0.673

DFT total energy in eV per atom: -4.557
E_form in eV/atom: -2.67
ρ in g/cm3: 3.558
Crystal system: monoclinic



VASP calculation (PBE) on a geometry-optimized K2HoCl5 structure.

abc: 13.063 8.526 8.058
'''
== End of the crystal structures ==
The above-mentioned measures can educate speed-reading aspirants about the unproductive tasks related to reading, which can be very helpful to build a strong foundation in their career.

== Someone pasted records of crystals at this point ==
+++
No. 1
! BaNi2As2 | Materials Project | GGA-PBE | optimized geometry; values from VASP
&SYSTEM
  ibrav = 0, nat = 5, ntyp = 3
/
ATOMIC_SPECIES
Ni 58.69 Ni.upf
Ba 137.33 Ba.upf
As 74.92 As.upf
CELL_PARAMETERS angstrom
4.157 0.000 0.000
0.000 4.157 0.000
-2.078 -2.078 5.885
ATOMIC_POSITIONS crystal
Ni 0.250 0.750 0.500
Ni 0.750 0.250 0.500
Ba 0.000 0.000 0.000
As 0.654 0.654 0.307
As 0.346 0.346 0.693
! Total energy in eV per atom: -5.22
! Formation energy from the elements in eV/atom: -0.657
! Space-group type: I4/mmm

No. 2
! Na30Nb8Zn16Si15S21O144 | Materials Project | GGA-PBE | optimized geometry; values from VASP
&SYSTEM
  ibrav = 0, nat = 234, ntyp = 6
/
ATOMIC_SPECIES
S 32.06 S.upf
O 16.00 O.upf
Si 28.09 Si.upf
Na 22.99 Na.upf
Zn 65.41 Zn.upf
Nb 92.91 Nb.upf
CELL_PARAMETERS angstrom
18.110 -0.010 0.071
-4.532 7.864 0.005
0.090 0.067 22.348
ATOMIC_POSITIONS crystal
S 0.019 0.374 0.920
S 0.332 0.032 0.083
S 0.837 0.042 0.083
S 0.520 0.369 0.919
S 0.682 0.035 0.583
S 0.335 0.633 0.583
S 0.168 0.962 0.920
S 0.810 0.955 0.419
S 0.835 0.633 0.583
S 0.669 0.963 0.918
S 0.669 0.374 0.418
S 0.169 0.375 0.418
S 0.182 0.333 0.084
S 0.811 0.664 0.921
S 0.310 0.955 0.419
S 0.520 0.671 0.418
S 0.686 0.331 0.083
S 0.019 0.670 0.418
S 0.982 0.633 0.083
S 0.183 0.036 0.583
S 0.311 0.664 0.918
O 0.590 0.972 0.915
O 0.832 0.150 0.743
O 0.589 0.480 0.260
O 0.992 0.158 0.590
O 0.764 0.866 0.079
O 0.918 0.029 0.088
O 0.161 0.857 0.972
O 0.673 0.480 0.079
O 0.568 0.681 0.472
O 0.761 0.859 0.362
O 0.578 0.648 0.077
O 0.937 0.509 0.414
O 0.915 0.779 0.308
O 0.823 0.539 0.639
O 0.744 0.332 0.738
O 0.512 0.201 0.913
O 0.089 0.701 0.759
O 0.763 0.854 0.471
O 0.070 0.463 0.973
O 0.815 0.123 0.415
O 0.221 0.305 0.030
O 0.020 0.835 0.690
O 0.222 0.141 0.529
O 0.429 0.554 0.019
O 0.935 0.367 0.919
O 0.093 0.012 0.586
O 0.248 0.127 0.919
O 0.067 0.484 0.864
O 0.079 0.959 0.194
O 0.093 0.172 0.088
O 0.728 0.308 0.030
O 0.676 0.871 0.861
O 0.572 0.657 0.364
O 0.748 0.132 0.918
O 0.345 0.143 0.031
O 0.113 0.172 0.811
O 0.900 0.962 0.696
O 0.815 0.504 0.920
O 0.990 0.809 0.088
O 0.671 0.863 0.578
O 0.931 0.301 0.518
O 0.520 0.838 0.695
O 0.262 0.853 0.471
O 0.660 0.857 0.970
O 0.747 0.364 0.419
O 0.568 0.454 0.973
O 0.834 0.514 0.240
O 0.900 0.841 0.194
O 0.944 0.539 0.140
O 0.396 0.975 0.417
O 0.651 0.478 0.760
O 0.019 0.193 0.198
O 0.070 0.659 0.078
O 0.247 0.364 0.418
O 0.171 0.863 0.578
O 0.400 0.838 0.195
O 0.260 0.659 0.862
O 0.848 0.147 0.031
O 0.922 0.518 0.744
O 0.260 0.856 0.077
O 0.228 0.349 0.139
O 0.169 0.481 0.078
O 0.613 0.171 0.810
O 0.579 0.202 0.696
O 0.243 0.332 0.738
O 0.068 0.681 0.472
O 0.940 0.365 0.639
O 0.415 0.049 0.810
O 0.571 0.485 0.865
O 0.111 0.056 0.308
O 0.150 0.823 0.259
O 0.416 0.029 0.087
O 0.483 0.783 0.815
O 0.261 0.705 0.258
O 0.399 0.961 0.696
O 0.578 0.507 0.578
O 0.421 0.322 0.246
O 0.323 0.539 0.639
O 0.421 0.520 0.746
O 0.916 0.052 0.811
O 0.896 0.975 0.417
O 0.596 0.174 0.086
O 0.743 0.154 0.240
O 0.012 0.823 0.413
+++
Author's Bio: 

The author is an experienced Content writer and publisher for Business Development. Visit at http://www.studycram.com/ to know more about read faster, speed reading strategiesandspeed reading techniques
These crystal structures were left in the text by mistake >
'''
# 1
Material: Sm15Ga44Ni52
Method: DFT, PBE-GGA
State: optimized geometry

Unit cell a=8.882 b=8.882 c=25.034 alpha=90.00 beta=90.00 gamma=120.00
Element x y z (fractional)
1 Sm 0.000 0.000 0.000
2 Sm 0.000 0.000 0.267
3 Sm 0.000 0.000 0.414
4 Sm 0.000 0.000 0.586
5 Sm 0.000 0.000 0.733
6 Sm 0.333 0.667 0.102
7 Sm 0.333 0.667 0.271
8 Sm 0.333 0.667 0.416
9 Sm 0.333 0.667 0.584
10 Sm 0.333 0.667 0.729
11 Sm 0.333 0.667 0.898
12 Sm 0.667 0.333 0.094
13 Sm 0.667 0.333 0.336
14 Sm 0.667 0.333 0.664
15 Sm 0.667 0.333 0.906
16 Ga 0.000 0.000 0.130
17 Ga 0.000 0.000 0.870
18 Ga 0.003 0.305 0.086
19 Ga 0.003 0.305 0.914
20 Ga 0.003 0.698 0.086
21 Ga 0.003 0.698 0.914
22 Ga 0.016 0.508 0.179
23 Ga 0.016 0.508 0.821
24 Ga 0.154 0.309 0.500
25 Ga 0.154 0.846 0.500
26 Ga 0.166 0.332 0.199
27 Ga 0.166 0.332 0.801
28 Ga 0.166 0.834 0.199
29 Ga 0.166 0.834 0.801
30 Ga 0.213 0.425 0.000
31 Ga 0.213 0.787 0.000
32 Ga 0.302 0.305 0.086
33 Ga 0.302 0.305 0.914
34 Ga 0.302 0.997 0.086
35 Ga 0.302 0.997 0.914
36 Ga 0.351 0.175 0.183
37 Ga 0.351 0.175 0.817
38 Ga 0.401 0.201 0.000
39 Ga 0.492 0.508 0.179
40 Ga 0.492 0.508 0.821
41 Ga 0.492 0.984 0.179
42 Ga 0.492 0.984 0.821
43 Ga 0.520 0.040 0.500
44 Ga 0.520 0.480 0.500
45 Ga 0.575 0.787 0.000
46 Ga 0.668 0.834 0.199
47 Ga 0.668 0.834 0.801
48 Ga 0.691 0.846 0.500
49 Ga 0.695 0.698 0.086
50 Ga 0.695 0.698 0.914
51 Ga 0.695 0.997 0.086
52 Ga 0.695 0.997 0.914
53 Ga 0.799 0.201 0.000
54 Ga 0.799 0.599 0.000
55 Ga 0.825 0.175 0.183
56 Ga 0.825 0.175 0.817
57 Ga 0.825 0.649 0.183
58 Ga 0.825 0.649 0.817
59 Ga 0.960 0.480 0.500
60 Ni 0.031 0.516 0.343
61 Ni 0.031 0.516 0.657
62 Ni 0.167 0.334 0.340
63 Ni 0.167 0.334 0.660
64 Ni 0.167 0.833 0.340
65 Ni 0.167 0.833 0.660
66 Ni 0.303 0.151 0.342
67 Ni 0.303 0.151 0.658
68 Ni 0.327 0.164 0.500
69 Ni 0.357 0.025 0.419
70 Ni 0.357 0.025 0.581
71 Ni 0.357 0.332 0.419
72 Ni 0.357 0.332 0.581
73 Ni 0.372 0.036 0.264
74 Ni 0.372 0.036 0.736
75 Ni 0.372 0.337 0.264
76 Ni 0.372 0.337 0.736
77 Ni 0.484 0.516 0.343
78 Ni 0.484 0.516 0.657
79 Ni 0.484 0.969 0.343
80 Ni 0.484 0.969 0.657
81 Ni 0.502 0.005 0.000
82 Ni 0.502 0.498 0.000
83 Ni 0.663 0.036 0.264
84 Ni 0.663 0.036 0.736
85 Ni 0.663 0.628 0.264
86 Ni 0.663 0.628 0.736
87 Ni 0.666 0.833 0.340
88 Ni 0.666 0.833 0.660
89 Ni 0.667 0.333 0.212
90 Ni 0.667 0.333 0.449
91 Ni 0.667 0.333 0.551
92 Ni 0.667 0.333 0.788
93 Ni 0.668 0.025 0.419
94 Ni 0.668 0.025 0.581
95 Ni 0.668 0.643 0.419
96 Ni 0.668 0.643 0.581
97 Ni 0.836 0.164 0.500
98 Ni 0.836 0.673 0.500
99 Ni 0.849 0.151 0.342
100 Ni 0.849 0.151 0.658
101 Ni 0.849 0.697 0.342
102 Ni 0.849 0.697 0.658
103 Ni 0.964 0.337 0.264
104 Ni 0.964 0.337 0.736
105 Ni 0.964 0.628 0.264
106 Ni 0.964 0.628 0.736
107 Ni 0.975 0.332 0.419
108 Ni 0.975 0.332 0.581
109 Ni 0.975 0.643 0.419
110 Ni 0.975 0.643 0.581
111 Ni 0.995 0.498 0.000

Computed properties:
'''
The crystal structures stop here >
